Production within the goldfinch cages


The focus was still on the female goldfinch in production .. Where it should be female Goldfinch accustomed to life in the cages.  Female favorite is the female who was brought in a white, possible that the results from the first year.  Female who was brought to Sidon, which is small by any ornamentation Althanaah possible to produce in the second year.  And female, which brought a large Sidon is also possible to produce in the second year and be good and strong.  Food must be suitable for the female as the annual orbit as follows:In winter: the food to the female Alguenbz, flaxseed and a few Alnnigerh mix and eggs every week or two weeks, and worms can be placed, as is evident in the important topics for Goldfinch, shall not be any female vegetables in winter, except for thyme.  After winter: feed the female flowers of all types of forks, if possible, the seeds of thistle, thyme, and wet and the seeds supplied with vitamin and mix eggs and fortified Baldidn Alguenbz and flax seeds and increase our Alnnigerh.  This means that wet seeds, vegetables and flowers in the thorns, the mating season after the winter, and can be placed on the vitamin vegetables, so do not put it in the water.  With the permanent observer of the feces of the female so do not get inflammation in the intestine.
Goldfinch can be married in a small cage, but it is important to be in a height of more than fifty centimeters so that the nest is close to the land of the cage .. Since this is contrary to the nature of the Goldfinch in the wild.Cage size: 80 in 40 Showing a height of 50Many educators condition cages large and that to the many reasons I recall, for example: the nature of the male who becomes more uproar in the small cage, which makes it more curious to tamper with Bash and then break the eggs.Can be a cage cubic meters or two metersWe do not recommend to place more of a female with a view to production at the same time, I mean every male and female in the cage and the only one.Put the cage in a place away from children and pets, and the possible roll cage material to be interesting Al_husona inside the cage and be safe, Knailon or material suitable for the weather according to the country.
Male and female
When a male is ready to be billed to yellow-white and not quite the point remains at the top of a small black beak.And legs are also white to yellow slashes. And be very bird whistling.Females also have signs above it cut in the beeping and sometimes play as if in anything you want to build a nest for example, play in a small paper or feather.The best way to choose a male to female, to place them in a large cage with some possible female or female more than you will find harmony among all the male and female, piece by beeping and the Atama each example, or to follow each other.This avoids the problem of harmony even if the female you want to mention specific.
**Someone pasted calculated crystals at this point**
<<<
No. 1
# SrAl4O7 (GGA-PBE, relaxed)
data_SrAl4O7
_chemical_formula_sum 'Sr4 Al16 O28'
_space_group_name_H-M_alt 'C m m e'
_space_group_IT_number 67
_space_group_name_Hall '-C 2a 2'
_cell_length_a 9.2577
_cell_length_b 13.5460
_cell_length_c 4.8409
_cell_angle_alpha 90.00
_cell_angle_beta 90.00
_cell_angle_gamma 90.00
loop_
_atom_site_label
_atom_site_type_symbol
_atom_site_fract_x
_atom_site_fract_y
_atom_site_fract_z
_atom_site_occupancy
Sr1 Sr 0.2500 0.2500 0.0000 1
Al1 Al 0.0000 0.0000 0.0000 1
Al2 Al 0.0000 0.1307 0.4436 1
Al3 Al 0.2500 0.0000 0.5000 1
O1 O 0.0000 0.1165 0.7984 1
O2 O 0.0000 0.2500 0.3216 1
O3 O 0.1426 0.0696 0.2677 1
# - V: 12.65 A^3/atom
# - Total energy: -7.2042 eV/atom
# - ρ: 3.4 g/cm³
# - Energy relative to the elements: -3.329 eV per atom


No. 2
# SrAl12O19 (GGA-PBE, relaxed)
data_SrAl12O19
_chemical_formula_sum 'Sr2 Al24 O38'
_space_group_name_H-M_alt 'P 63/m m c'
_space_group_IT_number 194
_space_group_name_Hall '-P 6c 2c'
_cell_length_a 5.6266
_cell_length_b 5.6266
_cell_length_c 22.1598
_cell_angle_alpha 90.00
_cell_angle_beta 90.00
_cell_angle_gamma 120.00
loop_
_atom_site_label
_atom_site_type_symbol
_atom_site_fract_x
_atom_site_fract_y
_atom_site_fract_z
_atom_site_occupancy
Sr1 Sr 0.3333 0.6667 0.2500 1
Al1 Al 0.0000 0.0000 0.0000 1
Al2 Al 0.0000 0.0000 0.2500 1
Al3 Al 0.1683 0.3365 0.1088 1
Al4 Al 0.3333 0.6667 0.5282 1
Al5 Al 0.3333 0.6667 0.6904 1
O1 O 0.0000 0.0000 0.1493 1
O2 O 0.0049 0.5025 0.1482 1
O3 O 0.1549 0.3099 0.5519 1
O4 O 0.1816 0.3632 0.7500 1
O5 O 0.3333 0.6667 0.0543 1
# - V: 9.49 A^3/atom
# - Total energy: -7.4254 eV/atom
# - ρ: 3.9 g/cm³
# - Energy relative to the elements: -3.438 eV per atom


No. 3
# Sr12Al14O33 (GGA-PBE, relaxed)
data_Sr12Al14O33
_chemical_formula_sum 'Sr24 Al28 O66'
_space_group_name_H-M_alt 'I -4'
_space_group_IT_number 82
_space_group_name_Hall 'I -4'
_cell_length_a 12.4656
_cell_length_b 12.4656
_cell_length_c 12.3923
_cell_angle_alpha 90.00
_cell_angle_beta 90.00
_cell_angle_gamma 90.00
loop_
_atom_site_label
_atom_site_type_symbol
_atom_site_fract_x
_atom_site_fract_y
_atom_site_fract_z
_atom_site_occupancy
Sr1 Sr 0.0000 0.0000 0.1829 1
Sr2 Sr 0.0000 0.5000 0.5197 1
Sr3 Sr 0.1053 0.2457 0.3779 1
Sr4 Sr 0.1402 0.7550 0.8773 1
Al1 Al 0.0000 0.0000 0.5000 1
Al2 Al 0.0000 0.5000 0.2500 1
Al3 Al 0.0154 0.7682 0.6429 1
Al4 Al 0.0173 0.7308 0.1081 1
Al5 Al 0.1263 0.2503 0.8747 1
O1 O 0.0000 0.0000 0.0000 1
O2 O 0.0370 0.2032 0.7741 1
O3 O 0.0386 0.2985 0.9774 1
O4 O 0.0474 0.8927 0.5808 1
O5 O 0.0482 0.5993 0.1599 1
O6 O 0.0661 0.3160 0.5651 1
O7 O 0.0668 0.1960 0.1918 1
O8 O 0.1455 0.7118 0.6728 1
O9 O 0.1505 0.7810 0.0827 1
# - V: 16.32 A^3/atom
# - Total energy: -7.0193 eV/atom
# - ρ: 3.4 g/cm³
# - Energy relative to the elements: -3.404 eV per atom


No. 4
# Sr2TaAlO6 (GGA-PBE, relaxed)
data_Sr2TaAlO6
_chemical_formula_sum 'Sr2 Ta1 Al1 O6'
_space_group_name_H-M_alt 'P 4/m m m'
_space_group_IT_number 123
_space_group_name_Hall '-P 4 2'
_cell_length_a 3.9657
>>>
The nest
The nest and place inside the cage is also important.It is better to put the nest on the industrial vegetables and put it in a good place to stop it so that the bird does not fall inside the stool.Nesting material is better to be soft, like a thread or burlap and a few weeds and wild cotton which is in the thistle flowers and there is also a natural substance called echo grass will put pictures, and some used wool sheep or goat hair We hope to be cautious of this article, which may be bacteria and skin diseases, although we have found a hair goat hair and other animals in the wild nests.This is the article that called echo grass
Al_husona may seem sick at the beginning or you are building a cluster of eggs is internal and they spent much protein or because they were weak and need to feed, and in this case is not adherence to hand so as not to break down the function carried out by .. But always watched the stool.It is better to have a mesh cage between the stool and prevent the feet of birds perish stool to the bottom of the cage and exposed to birds, and also so that the Al_husona to eat feces, or to be in the eggs or the beginning of the disease coccidiosis.Always You have a canary birds or other birds as possible to feed the host eggs or chicks in the event that the female abandoned the nest Goldfinch.